Wanted:
It remains to give back the data further down verbatim.

Material:
........
(1)
ORCA calculation (ωB97M-V/def2-TZVPD) on C54H45BrN7PPd as an isolated structure at a distorted geometry.

XYZ file:
```
109
Properties=species:S:1:pos:R:3:mulliken_charge:R:1
Pd -0.12063 -1.27690 0.33491 0.36
C -0.28553 3.76801 1.11181 -0.75
N -0.04075 2.48754 1.77942 0.27
C 0.52396 1.39400 1.17330 0.19
N 0.18525 0.28066 1.77901 -0.14
C -0.65289 0.59615 2.80555 0.18
C -0.85499 1.96017 2.77581 0.47
C -1.70661 2.85929 3.56415 -0.89
C -3.09424 2.70255 3.66933 0.15
C -3.85577 3.64208 4.38591 -0.85
C -3.25771 4.69714 5.04684 -0.35
C -1.86457 4.86079 5.00446 -0.87
C -1.13459 3.97170 4.25981 -0.09
C -1.15134 -0.45492 3.71532 0.71
C -1.34129 -1.74643 3.30709 0.39
C -1.88833 -2.72431 4.16514 -1.17
C -2.19197 -2.41598 5.47806 -0.45
C -1.91604 -1.11655 5.92097 -0.74
C -1.48270 -0.12795 5.04822 -0.63
P 1.88185 1.52778 -0.10679 -0.82
C 0.96610 1.35339 -1.64812 0.05
N 0.58732 0.23083 -2.19555 -0.25
C -0.34008 0.48482 -3.12736 0.78
C -0.52470 1.85223 -3.22892 0.24
N 0.37208 2.41850 -2.30129 0.50
C 0.68559 3.79927 -2.15106 -1.12
C -1.30700 2.73758 -4.08144 -0.13
C -1.16895 2.56812 -5.47254 -0.44
C -1.79190 3.44712 -6.38010 -0.75
C -2.59228 4.47387 -5.87603 -0.47
C -2.78286 4.59874 -4.50040 -0.79
C -2.13881 3.76106 -3.62837 0.06
C -0.96862 -0.55402 -3.90762 0.30
C -0.24206 -1.61730 -4.41561 -0.43
C -0.86934 -2.71527 -5.02677 -0.66
C -2.27113 -2.80846 -5.01442 -0.32
C -3.00172 -1.72455 -4.57350 -0.76
C -2.36454 -0.59497 -4.02375 -0.28
C 2.62889 -0.11920 0.06880 -0.40
N 2.05721 -1.29131 0.24145 1.18
C 3.05025 -2.24617 0.27548 -0.85
C 4.26401 -1.61745 0.09560 0.25
N 3.98116 -0.30033 -0.04156 0.57
C 4.96712 0.76080 -0.22149 -0.94
C 5.57982 -2.19056 0.19645 -0.47
C 5.91693 -2.79929 1.40168 -0.23
C 7.19239 -3.35380 1.54328 -0.99
C 8.12396 -3.23911 0.52371 -0.38
C 7.74152 -2.69379 -0.69709 -0.66
C 6.45811 -2.20838 -0.85245 -0.02
C 2.84288 -3.64971 0.60891 0.44
C 2.15691 -4.03565 1.77180 -0.18
C 1.91720 -5.39310 2.03607 -0.72
C 2.31968 -6.36103 1.12495 -0.48
C 3.07264 -5.97538 0.01378 -0.54
C 3.31482 -4.67498 -0.25046 -0.47
H -0.78239 3.62129 0.17187 -0.03
H 0.69975 4.14368 0.90708 0.33
H -0.81845 4.43828 1.80271 0.52
H -3.62522 1.95926 3.07772 0.53
H -4.91597 3.51097 4.40220 0.45
H -3.86130 5.41283 5.59326 0.37
H -1.43333 5.74073 5.46921 0.39
H -0.05754 4.02760 4.22777 0.47
H -1.00029 -2.03423 2.30570 0.37
H -1.98686 -3.77357 3.85380 0.43
H -2.63989 -3.11846 6.16880 0.41
H -2.25069 -0.83380 6.91436 0.36
H -1.33762 0.89338 5.39095 0.45
H 1.03875 4.23697 -3.04804 0.40
H 1.47633 3.88024 -1.40434 0.36
H -0.19088 4.44284 -1.84999 0.29
H -0.58130 1.74598 -5.81764 0.49
H -1.65890 3.30564 -7.49597 0.31
H -3.08156 5.14265 -6.50680 0.47
H -3.53253 5.30949 -4.16997 0.40
H -2.27231 3.90831 -2.53341 0.22
H 0.79278 -1.64854 -4.30904 0.45
H -0.26478 -3.53765 -5.41949 0.35
H -2.81351 -3.68461 -5.36505 0.38
H -4.10750 -1.83931 -4.50451 0.29
H -2.95678 0.21261 -3.57760 0.36
H 5.61355 0.94577 0.61007 0.35
H 4.42437 1.70506 -0.31912 0.28
H 5.60373 0.56657 -1.05414 0.43
H 5.18329 -2.96764 2.16390 0.53
H 7.50641 -3.87733 2.39467 0.46
H 9.12073 -3.61684 0.62038 0.43
H 8.42712 -2.62803 -1.59000 0.29
H 6.15624 -1.87423 -1.81357 0.59
H 1.82165 -3.29742 2.52092 0.38
H 1.35511 -5.64121 2.91751 0.43
H 2.14144 -7.40311 1.36568 0.41
H 3.45367 -6.76194 -0.67573 0.32
H 3.95060 -4.44311 -1.12254 0.38
C -5.86520 1.04079 -0.36533 -1.50
C -4.53169 0.40684 -0.05246 0.83
C -4.39012 -0.98231 0.18512 -0.73
C -3.14374 -1.48789 0.36733 -1.01
C -1.99777 -0.66626 0.22031 0.44
Br -0.43769 -3.21167 -1.27284 -0.58
N -2.13957 0.65533 0.01343 0.74
C -3.37740 1.14937 -0.07009 -0.79
H -5.98406 0.89189 -1.45432 0.27
H -5.90663 2.15451 -0.14119 0.34
H -6.71260 0.57104 0.12890 0.40
H -5.27540 -1.59003 0.32816 0.40
H -3.00510 -2.56916 0.46407 0.48
H -3.41266 2.26113 -0.15714 0.03
```

Calculated values
Net charge: 0
Lowest unoccupied orbital energy in eV: 0.3875
HOMO-LUMO gap in hartree: 0.28607
HOMO in eV: -7.397

---

(2)
........

Worked solution:
(1)
ORCA calculation (ωB97M-V/def2-TZVPD) on C54H45BrN7PPd as an isolated structure at a distorted geometry.

XYZ file:
```
109
Properties=species:S:1:pos:R:3:mulliken_charge:R:1
Pd -0.12063 -1.27690 0.33491 0.36
C -0.28553 3.76801 1.11181 -0.75
N -0.04075 2.48754 1.77942 0.27
C 0.52396 1.39400 1.17330 0.19
N 0.18525 0.28066 1.77901 -0.14
C -0.65289 0.59615 2.80555 0.18
C -0.85499 1.96017 2.77581 0.47
C -1.70661 2.85929 3.56415 -0.89
C -3.09424 2.70255 3.66933 0.15
C -3.85577 3.64208 4.38591 -0.85
C -3.25771 4.69714 5.04684 -0.35
C -1.86457 4.86079 5.00446 -0.87
C -1.13459 3.97170 4.25981 -0.09
C -1.15134 -0.45492 3.71532 0.71
C -1.34129 -1.74643 3.30709 0.39
C -1.88833 -2.72431 4.16514 -1.17
C -2.19197 -2.41598 5.47806 -0.45
C -1.91604 -1.11655 5.92097 -0.74
C -1.48270 -0.12795 5.04822 -0.63
P 1.88185 1.52778 -0.10679 -0.82
C 0.96610 1.35339 -1.64812 0.05
N 0.58732 0.23083 -2.19555 -0.25
C -0.34008 0.48482 -3.12736 0.78
C -0.52470 1.85223 -3.22892 0.24
N 0.37208 2.41850 -2.30129 0.50
C 0.68559 3.79927 -2.15106 -1.12
C -1.30700 2.73758 -4.08144 -0.13
C -1.16895 2.56812 -5.47254 -0.44
C -1.79190 3.44712 -6.38010 -0.75
C -2.59228 4.47387 -5.87603 -0.47
C -2.78286 4.59874 -4.50040 -0.79
C -2.13881 3.76106 -3.62837 0.06
C -0.96862 -0.55402 -3.90762 0.30
C -0.24206 -1.61730 -4.41561 -0.43
C -0.86934 -2.71527 -5.02677 -0.66
C -2.27113 -2.80846 -5.01442 -0.32
C -3.00172 -1.72455 -4.57350 -0.76
C -2.36454 -0.59497 -4.02375 -0.28
C 2.62889 -0.11920 0.06880 -0.40
N 2.05721 -1.29131 0.24145 1.18
C 3.05025 -2.24617 0.27548 -0.85
C 4.26401 -1.61745 0.09560 0.25
N 3.98116 -0.30033 -0.04156 0.57
C 4.96712 0.76080 -0.22149 -0.94
C 5.57982 -2.19056 0.19645 -0.47
C 5.91693 -2.79929 1.40168 -0.23
C 7.19239 -3.35380 1.54328 -0.99
C 8.12396 -3.23911 0.52371 -0.38
C 7.74152 -2.69379 -0.69709 -0.66
C 6.45811 -2.20838 -0.85245 -0.02
C 2.84288 -3.64971 0.60891 0.44
C 2.15691 -4.03565 1.77180 -0.18
C 1.91720 -5.39310 2.03607 -0.72
C 2.31968 -6.36103 1.12495 -0.48
C 3.07264 -5.97538 0.01378 -0.54
C 3.31482 -4.67498 -0.25046 -0.47
H -0.78239 3.62129 0.17187 -0.03
H 0.69975 4.14368 0.90708 0.33
H -0.81845 4.43828 1.80271 0.52
H -3.62522 1.95926 3.07772 0.53
H -4.91597 3.51097 4.40220 0.45
H -3.86130 5.41283 5.59326 0.37
H -1.43333 5.74073 5.46921 0.39
H -0.05754 4.02760 4.22777 0.47
H -1.00029 -2.03423 2.30570 0.37
H -1.98686 -3.77357 3.85380 0.43
H -2.63989 -3.11846 6.16880 0.41
H -2.25069 -0.83380 6.91436 0.36
H -1.33762 0.89338 5.39095 0.45
H 1.03875 4.23697 -3.04804 0.40
H 1.47633 3.88024 -1.40434 0.36
H -0.19088 4.44284 -1.84999 0.29
H -0.58130 1.74598 -5.81764 0.49
H -1.65890 3.30564 -7.49597 0.31
H -3.08156 5.14265 -6.50680 0.47
H -3.53253 5.30949 -4.16997 0.40
H -2.27231 3.90831 -2.53341 0.22
H 0.79278 -1.64854 -4.30904 0.45
H -0.26478 -3.53765 -5.41949 0.35
H -2.81351 -3.68461 -5.36505 0.38
H -4.10750 -1.83931 -4.50451 0.29
H -2.95678 0.21261 -3.57760 0.36
H 5.61355 0.94577 0.61007 0.35
H 4.42437 1.70506 -0.31912 0.28
H 5.60373 0.56657 -1.05414 0.43
H 5.18329 -2.96764 2.16390 0.53
H 7.50641 -3.87733 2.39467 0.46
H 9.12073 -3.61684 0.62038 0.43
H 8.42712 -2.62803 -1.59000 0.29
H 6.15624 -1.87423 -1.81357 0.59
H 1.82165 -3.29742 2.52092 0.38
H 1.35511 -5.64121 2.91751 0.43
H 2.14144 -7.40311 1.36568 0.41
H 3.45367 -6.76194 -0.67573 0.32
H 3.95060 -4.44311 -1.12254 0.38
C -5.86520 1.04079 -0.36533 -1.50
C -4.53169 0.40684 -0.05246 0.83
C -4.39012 -0.98231 0.18512 -0.73
C -3.14374 -1.48789 0.36733 -1.01
C -1.99777 -0.66626 0.22031 0.44
Br -0.43769 -3.21167 -1.27284 -0.58
N -2.13957 0.65533 0.01343 0.74
C -3.37740 1.14937 -0.07009 -0.79
H -5.98406 0.89189 -1.45432 0.27
H -5.90663 2.15451 -0.14119 0.34
H -6.71260 0.57104 0.12890 0.40
H -5.27540 -1.59003 0.32816 0.40
H -3.00510 -2.56916 0.46407 0.48
H -3.41266 2.26113 -0.15714 0.03
```

Calculated values
Net charge: 0
Lowest unoccupied orbital energy in eV: 0.3875
HOMO-LUMO gap in hartree: 0.28607
HOMO in eV: -7.397

---

(2)